Input:
____________
Here is a relaxed CoCuS4 crystal from Alexandria. Energies are from PBE.

Unit cell a=5.5947 b=5.5938 c=5.7423 alpha=88.89 beta=90.00 gamma=90.00
Sites, in units of the cell vectors:
S 0.6176 0.3813 0.5918
S 0.1176 0.1187 0.4082
S 0.4025 0.9000 0.8839
S 0.8824 0.8813 0.5918
S 0.0975 0.4000 0.8839
S 0.5975 0.1000 0.1161
S 0.3824 0.6187 0.4082
S 0.9025 0.6000 0.1161
Co 0.5000 0.0000 0.5000
Co 0.0000 0.5000 0.5000
Cu 0.5000 0.5000 0.0000
Cu 0.0000 0.0000 0.0000

## Properties
Symmetry   P2_1/c (14)
Polymorph energy (0 for the lowest one)   0.0 kJ/mol of atoms
VASP energy   -4.8435 eV/atom
E_form (uncorrected)   -0.2249 eV per atom

Here is a relaxed Ta2PtCl crystal from Alexandria. Energies are from PBE.

Unit cell a=2.9036 b=3.9645 c=6.0285 alpha=90.00 beta=90.00 gamma=90.00
Sites, in units of the cell vectors:
Cl 0.0000 0.0000 0.4220
Pt 0.5000 0.5000 0.7851
Ta 0.5000 0.5000 0.3072
Ta 0.0000 0.0000 0.9857

## Properties
Symmetry   Pmm2 (25)
Polymorph energy (0 for the lowest one)   29.1 kJ/mol of atoms
VASP energy   -7.8823 eV/atom
E_form (uncorrected)   0.0158 eV per atom

Here is a relaxed Cr2SbRh crystal from Alexandria. Energies are from PBE.

Unit cell a=4.0470 b=2.8890 c=6.0294 alpha=61.36 beta=90.00 gamma=90.00
Sites, in units of the cell vectors:
Rh 0.5000 0.2500 0.2500
Cr 0.0000 0.5576 0.4414
Cr 0.0000 0.9424 0.0586
Sb 0.5000 0.7500 0.7500

## Properties
Symmetry   Pmmm (47)
VASP energy   -7.4330 eV/atom
E_form (uncorrected)   0.2471 eV per atom

Here is a relaxed Sr2YMo crystal from Alexandria. Energies are from PBE.

Unit cell a=3.8389 b=3.8394 c=10.0092 alpha=67.69 beta=90.00 gamma=90.00
Sites, in units of the cell vectors:
Mo 0.5000 0.8055 0.6949
Y 0.0000 0.4266 0.5730
Sr 0.0000 0.0674 0.9339
Sr 0.5000 0.2005 0.2983

## Properties
Symmetry   Pm (6)
Polymorph energy (0 for the lowest one)   0.0 kJ/mol of atoms
Calculated formation energy   0.52 eV per atom
VASP energy   -4.6463 eV/atom

Here is a relaxed CuNi2W crystal from Alexandria. Energies are from PBE.

Unit cell a=8.5212 b=8.5212 c=8.5212 alpha=17.91 beta=17.91 gamma=17.91
Sites, in units of the cell vectors:
W 0.2500 0.2500 0.2500
Ni 0.4975 0.4975 0.4975
Ni 0.0025 0.0025 0.0025
Cu 0.7500 0.7500 0.7500

## Properties
Symmetry   R-3m (166)
Polymorph energy (0 for the lowest one)   12.5 kJ/mol of atoms
Calculated formation energy   0.14 eV per atom
VASP energy   -7.0115 eV/atom

Here is a relaxed Dy2ScAu3 crystal from Alexandria. Energies are from PBE.

Unit cell a=3.5111 b=3.5111 c=10.7326 alpha=90.00 beta=90.00 gamma=90.00
Sites, in units of the cell vectors:
Dy 0.5000 0.5000 0.8276
Dy 0.5000 0.5000 0.1724
Au 0.0000 0.0000 0.0000
Au 0.0000 0.0000 0.3496
Au 0.0000 0.0000 0.6504
Sc 0.5000 0.5000 0.5000

## Properties
Symmetry   P4/mmm (123)
Polymorph energy (0 for the lowest one)   0.0 kJ/mol of atoms
Calculated formation energy   -0.84 eV per atom
VASP energy   -5.0649 eV/atom


[1]
PBE Ac2PaZn, optimized geometry; energy above the most stable polymorph in this dataset = 0.000 eV per atom; DOS(E_F) = 5.4 states/eV/cell
1.0
-3.556 0.632 0.755
-0.889 -0.844 -3.480
-1.064 -8.877 2.424
Ac Pa Zn
2 1 1
Direct
0.000 0.000 0.772
0.000 0.000 0.228
0.500 0.500 0.500
0.500 0.500 0.000



[2]
PBE LiTl2Pb2, optimized geometry; energy above the most stable polymorph in this dataset = 0.000 eV per atom; DOS(E_F) = 1.6 states/eV/cell
1.0
-5.533 -0.243 -1.987
-4.554 -3.249 1.825
-6.333 2.189 3.353
Li Tl Pb
1 2 2
Direct
0.000 0.000 0.000
0.798 0.798 0.593
0.202 0.202 0.407
0.612 0.612 0.184
0.388 0.388 0.816
____________

Request:
The reader should type out the notes above from the first line to the one with "0.388 0.388" without additions.

Response:
Here is a relaxed CoCuS4 crystal from Alexandria. Energies are from PBE.

Unit cell a=5.5947 b=5.5938 c=5.7423 alpha=88.89 beta=90.00 gamma=90.00
Sites, in units of the cell vectors:
S 0.6176 0.3813 0.5918
S 0.1176 0.1187 0.4082
S 0.4025 0.9000 0.8839
S 0.8824 0.8813 0.5918
S 0.0975 0.4000 0.8839
S 0.5975 0.1000 0.1161
S 0.3824 0.6187 0.4082
S 0.9025 0.6000 0.1161
Co 0.5000 0.0000 0.5000
Co 0.0000 0.5000 0.5000
Cu 0.5000 0.5000 0.0000
Cu 0.0000 0.0000 0.0000

## Properties
Symmetry   P2_1/c (14)
Polymorph energy (0 for the lowest one)   0.0 kJ/mol of atoms
VASP energy   -4.8435 eV/atom
E_form (uncorrected)   -0.2249 eV per atom

Here is a relaxed Ta2PtCl crystal from Alexandria. Energies are from PBE.

Unit cell a=2.9036 b=3.9645 c=6.0285 alpha=90.00 beta=90.00 gamma=90.00
Sites, in units of the cell vectors:
Cl 0.0000 0.0000 0.4220
Pt 0.5000 0.5000 0.7851
Ta 0.5000 0.5000 0.3072
Ta 0.0000 0.0000 0.9857

## Properties
Symmetry   Pmm2 (25)
Polymorph energy (0 for the lowest one)   29.1 kJ/mol of atoms
VASP energy   -7.8823 eV/atom
E_form (uncorrected)   0.0158 eV per atom

Here is a relaxed Cr2SbRh crystal from Alexandria. Energies are from PBE.

Unit cell a=4.0470 b=2.8890 c=6.0294 alpha=61.36 beta=90.00 gamma=90.00
Sites, in units of the cell vectors:
Rh 0.5000 0.2500 0.2500
Cr 0.0000 0.5576 0.4414
Cr 0.0000 0.9424 0.0586
Sb 0.5000 0.7500 0.7500

## Properties
Symmetry   Pmmm (47)
VASP energy   -7.4330 eV/atom
E_form (uncorrected)   0.2471 eV per atom

Here is a relaxed Sr2YMo crystal from Alexandria. Energies are from PBE.

Unit cell a=3.8389 b=3.8394 c=10.0092 alpha=67.69 beta=90.00 gamma=90.00
Sites, in units of the cell vectors:
Mo 0.5000 0.8055 0.6949
Y 0.0000 0.4266 0.5730
Sr 0.0000 0.0674 0.9339
Sr 0.5000 0.2005 0.2983

## Properties
Symmetry   Pm (6)
Polymorph energy (0 for the lowest one)   0.0 kJ/mol of atoms
Calculated formation energy   0.52 eV per atom
VASP energy   -4.6463 eV/atom

Here is a relaxed CuNi2W crystal from Alexandria. Energies are from PBE.

Unit cell a=8.5212 b=8.5212 c=8.5212 alpha=17.91 beta=17.91 gamma=17.91
Sites, in units of the cell vectors:
W 0.2500 0.2500 0.2500
Ni 0.4975 0.4975 0.4975
Ni 0.0025 0.0025 0.0025
Cu 0.7500 0.7500 0.7500

## Properties
Symmetry   R-3m (166)
Polymorph energy (0 for the lowest one)   12.5 kJ/mol of atoms
Calculated formation energy   0.14 eV per atom
VASP energy   -7.0115 eV/atom

Here is a relaxed Dy2ScAu3 crystal from Alexandria. Energies are from PBE.

Unit cell a=3.5111 b=3.5111 c=10.7326 alpha=90.00 beta=90.00 gamma=90.00
Sites, in units of the cell vectors:
Dy 0.5000 0.5000 0.8276
Dy 0.5000 0.5000 0.1724
Au 0.0000 0.0000 0.0000
Au 0.0000 0.0000 0.3496
Au 0.0000 0.0000 0.6504
Sc 0.5000 0.5000 0.5000

## Properties
Symmetry   P4/mmm (123)
Polymorph energy (0 for the lowest one)   0.0 kJ/mol of atoms
Calculated formation energy   -0.84 eV per atom
VASP energy   -5.0649 eV/atom


[1]
PBE Ac2PaZn, optimized geometry; energy above the most stable polymorph in this dataset = 0.000 eV per atom; DOS(E_F) = 5.4 states/eV/cell
1.0
-3.556 0.632 0.755
-0.889 -0.844 -3.480
-1.064 -8.877 2.424
Ac Pa Zn
2 1 1
Direct
0.000 0.000 0.772
0.000 0.000 0.228
0.500 0.500 0.500
0.500 0.500 0.000



[2]
PBE LiTl2Pb2, optimized geometry; energy above the most stable polymorph in this dataset = 0.000 eV per atom; DOS(E_F) = 1.6 states/eV/cell
1.0
-5.533 -0.243 -1.987
-4.554 -3.249 1.825
-6.333 2.189 3.353
Li Tl Pb
1 2 2
Direct
0.000 0.000 0.000
0.798 0.798 0.593
0.202 0.202 0.407
0.612 0.612 0.184
0.388 0.388 0.816